____________
# 1
Structure and computed powder XRD pattern of BaMg14VO16 (DFT lattice parameters and positions (PBE+U); Cu Kα, 1.54184 Å).
Intensities are scaled so that the largest is 100.

Structure:
```
data_BaMg14VO16
_cell_length_a 8.754
_cell_length_b 8.754
_cell_length_c 4.502
_cell_angle_alpha 90.00
_cell_angle_beta 90.00
_cell_angle_gamma 90.00
_symmetry_space_group_name_H-M 'P 4/m m m'
_symmetry_Int_Tables_number 123
_symmetry_space_group_name_Hall '-P 4 2'
loop_
_atom_site_label
_atom_site_fract_x
_atom_site_fract_y
_atom_site_fract_z
Ba1 0.000 0.000 0.000
Mg1 0.000 0.265 0.500
Mg2 0.000 0.500 0.000
Mg3 0.251 0.500 0.500
Mg4 0.258 0.258 0.000
V1 0.500 0.500 0.000
O1 0.000 0.000 0.500
O2 0.000 0.280 0.000
O3 0.000 0.500 0.500
O4 0.251 0.251 0.500
O5 0.251 0.500 0.000
O6 0.500 0.500 0.500
```

Principal peaks in the range 10° ≤ 2θ ≤ 90°, by angle:
hkl 1 0 0, 10.10 deg, I = 17.3
hkl 1 1 0, 14.31 deg, I = 26.5
hkl 2 0 0, 20.29 deg, I = 18.8
hkl 1 1 1, 24.45 deg, I = 21.2
hkl 2 2 1, 35.19 deg, I = 39.7
hkl 0 0 2, 40.05 deg, I = 56.9
hkl 4 0 0, 41.25 deg, I = 100.0
hkl 4 0 2, 58.85 deg, I = 61.6
hkl 4 4 0, 59.75 deg, I = 28.2
hkl 4 4 2, 74.38 deg, I = 27.6



# 2
Structure and computed powder XRD pattern of Li9Mn2Co5O16 (DFT lattice parameters and positions (PBE+U); Cu Kα, 1.54184 Å).
Intensities are scaled so that the largest is 100.

Structure:
```
data_Li9Mn2Co5O16
_cell_length_a 5.201
_cell_length_b 2.902
_cell_length_c 19.426
_cell_angle_alpha 90.00
_cell_angle_beta 95.83
_cell_angle_gamma 90.00
_symmetry_space_group_name_H-M 'P 1 m 1'
_symmetry_Int_Tables_number 6
loop_
_symmetry_equiv_pos_as_xyz
'x,y,z'
'x,-y,z'
loop_
_atom_site_label
_atom_site_fract_x
_atom_site_fract_y
_atom_site_fract_z
Li1 0.000 0.000 0.000
Li2 0.009 0.500 0.495
Li3 0.131 0.500 0.870
Li4 0.249 0.000 0.739
Li5 0.393 0.500 0.617
Li6 0.502 0.000 0.496
Li7 0.620 0.500 0.378
Li8 0.762 0.000 0.247
Li9 0.879 0.500 0.117
Mn1 0.260 0.500 0.247
Mn2 0.630 0.000 0.871
Co1 0.104 0.000 0.380
Co2 0.384 0.000 0.117
Co3 0.503 0.500 0.998
Co4 0.753 0.500 0.741
Co5 0.913 0.000 0.611
O1 0.041 0.500 0.681
O2 0.094 0.000 0.190
O3 0.186 0.000 0.563
O4 0.197 0.500 0.061
O5 0.303 0.500 0.427
O6 0.351 0.000 0.930
O7 0.429 0.000 0.300
O8 0.465 0.500 0.816
O9 0.537 0.500 0.183
O10 0.580 0.000 0.691
O11 0.681 0.000 0.060
O12 0.715 0.500 0.565
O13 0.801 0.500 0.926
O14 0.828 0.000 0.427
O15 0.908 0.000 0.809
O16 0.988 0.500 0.307
```

Principal peaks in the range 10° ≤ 2θ ≤ 90°, by angle:
hkl 1 0 1, 18.20 deg, I = 100.0
hkl 1 0 -7, 35.26 deg, I = 12.9
hkl 0 1 4, 36.11 deg, I = 27.1
hkl 2 0 -6, 42.54 deg, I = 26.8
hkl 1 1 5, 43.72 deg, I = 54.0
hkl 2 1 -2, 47.30 deg, I = 8.5
hkl 2 1 6, 57.48 deg, I = 9.4
hkl 3 1 -1, 62.40 deg, I = 14.3
hkl 2 0 10, 62.88 deg, I = 20.2
hkl 0 2 0, 64.20 deg, I = 7.3



# 3
Structure and computed powder XRD pattern of Li3Fe2CoO6 (DFT lattice parameters and positions (PBE+U); Cu Kα, 1.54184 Å).
Intensities are scaled so that the largest is 100.

Structure:
```
data_Li3Fe2CoO6
_cell_length_a 5.108
_cell_length_b 5.120
_cell_length_c 9.888
_cell_angle_alpha 94.88
_cell_angle_beta 94.55
_cell_angle_gamma 119.62
_symmetry_space_group_name_H-M 'P -1'
_symmetry_Int_Tables_number 2
loop_
_symmetry_equiv_pos_as_xyz
'x,y,z'
'-x,-y,-z'
loop_
_atom_site_label
_atom_site_fract_x
_atom_site_fract_y
_atom_site_fract_z
Li1 0.086 0.407 0.249
Li2 0.243 0.243 0.748
Li3 0.406 0.085 0.249
Fe1 0.165 0.835 0.500
Fe2 0.331 0.668 0.000
Co1 0.000 0.000 0.000
Co2 0.500 0.500 0.500
O1 0.034 0.699 0.117
O2 0.117 0.117 0.382
O3 0.220 0.541 0.611
O4 0.298 0.966 0.884
O5 0.351 0.351 0.109
O6 0.458 0.781 0.388
```

Principal peaks in the range 10° ≤ 2θ ≤ 90°, by angle:
hkl 0 0 2, 18.19 deg, I = 100.0
hkl 1 1 0, 35.38 deg, I = 14.5
hkl 1 -2 1, 35.62 deg, I = 14.2
hkl -2 1 1, 35.74 deg, I = 13.9
hkl 1 1 -2, 37.19 deg, I = 14.0
hkl 1 1 2, 42.78 deg, I = 26.5
hkl 1 -2 3, 43.18 deg, I = 25.8
hkl -2 1 3, 43.37 deg, I = 25.5
hkl 2 -1 3, 47.08 deg, I = 9.8
hkl 0 3 -1, 62.62 deg, I = 14.1



# 4
____________

Now search the notes earlier on for the word "scaled" and print each line that has it.

Intensities are scaled so that the largest is 100.
Intensities are scaled so that the largest is 100.
Intensities are scaled so that the largest is 100.